I remember a couple years back when talking about the Jabs altering DNA was considered “misinformation”, and could get you banned from platforms or have your content flagged and removed.
On LinkedIn…I’d had posts censored within 10 minutes!
This from March 1st, 2022…
And now, while we are having these same conversations about the potential of DNA being altered (after seeing it over 2 years ago), they are still flying under the radar and still haven’t really made it to stages of mass studies.
There are hundreds if not thousands of fraudulent and wildly inaccurate, ‘safe and effective’ studies in support of the Jabs…while no real world data actually supported these conclusions.
They counted a lot on people being terrible at math and not wanting to look at the data behind the colorful images that they’d produce in fear porn, to drive you into the nearest vaccination station close to you…while few even bothered to question this.
Okay…there were millions of us that knew something was wrong, but not always why.
So…now that we are mostly past the censorship, it’s important to really dive into, what have these jabs done?
For the most part…I’ve steered away from the complicated medical chatter because a lot of it is confusing and was always a little questionable. A lot of what was being presented had me steering away from this and maintaining focus on the statistics behind these…because that should have been enough to have more people - especially trained healthcare practitioners - standing up to the tyranny of the forced medical procedures.
But now…where the failure of these same jabs is even more apparent and is being more widely exposed and now that the majority of the data is either hidden or no longer provided through provincial and federal reporting…I can take some time to drill a little more into this and hopefully relay the information in a way that others can understand and share with their families, friends and communities.
Since being removed from LinkedIn, where I chatted with a lot of Doctors, Nurses and Healthcare Professionals…the vast majority of who I now discuss things with, are forced to cloak themselves in anonymity for fear of retribution. I can appreciate this…and appreciate what David has and still is going through, posting under his real name and being widely transparent with his identity.
So, hopping onto a call with a Doctor Speicher was kewl.
As we got into this…I have to admit, my understanding of what was going on with the whole Genetic Modification from the Jabs was, for the most part, non-existent. Yeah, I seen the headlines and read through some of the information but never really got it. Now that my knowledge has increased from Zilch to the level of glossy eyed neophyte, what David walked me through is absolutely terrifying.
Yeah…I know some of you have arrived here, long before me and that’s great. If I miss anything, please feel free to post additional information, that I don’t cover…into the comments for others who haven’t kept up.
To understand these…what you need to appreciate is that, unlike a lot of medications or pharmaceuticals that we are familiar with, the COVID Jabs are not a recipe of chemicals that are thrown together and pilled up or mixed into potions.
........
Record 1
Rb2GaRuF6, relaxed, DFT PBE-GGA; space-group type = No. 225; calculated volume = 180 Å³/cell; total DFT energy (no corrections) = -4.652 eV per atom; raw formation energy = -21.1 eV per formula unit
1.0
-3.409 -5.267 0.899
5.312 -3.456 -0.103
1.359 -3.868 4.834
Ru Ga Rb F
1 1 2 6
direct
0.000 0.000 0.000
0.500 0.500 0.000
0.750 0.250 0.500
0.250 0.750 0.500
0.228 0.228 0.545
0.772 0.772 0.455
0.228 0.228 0.000
0.772 0.772 0.000
0.772 0.228 0.000
0.228 0.772 0.000



Record 2
Tl4SiSe4, relaxed, DFT PBE-GGA; space-group type = No. 15; calculated volume = 1121 Å³/cell; total DFT energy (no corrections) = -3.669 eV per atom; raw formation energy = -4.2 eV per formula unit
1.0
-0.394 2.775 6.542
-2.429 -4.258 5.159
22.143 -8.137 8.792
Tl Si Se
16 4 16
direct
0.175 0.825 0.250
0.825 0.175 0.750
0.000 0.000 0.500
0.000 0.000 0.000
0.055 0.341 0.336
0.659 0.945 0.164
0.945 0.659 0.664
0.341 0.055 0.836
0.904 0.320 0.175
0.680 0.096 0.325
0.096 0.680 0.825
0.320 0.904 0.675
0.277 0.351 0.500
0.649 0.723 0.000
0.723 0.649 0.500
0.351 0.277 0.000
0.441 0.688 0.377
0.688 0.441 0.877
0.559 0.312 0.623
0.312 0.559 0.123
0.602 0.694 0.291
0.708 0.107 0.882
0.107 0.708 0.382
0.292 0.893 0.118
0.339 0.625 0.577
0.893 0.292 0.618
0.661 0.375 0.423
0.625 0.339 0.077
0.970 0.414 0.917
0.586 0.030 0.583
0.030 0.586 0.083
0.414 0.970 0.417
0.306 0.398 0.209
0.398 0.306 0.709
0.694 0.602 0.791
0.375 0.661 0.923



Record 3
TmPuSc, relaxed, DFT PBE-GGA; formation energy from the elements = 31 kJ/mol of formula units; space-group type = No. 107; calculated volume = 81 Å³/cell; total DFT energy (no corrections) = -8.272 eV per atom
1.0
-2.336 -1.544 1.902
1.775 -2.878 -0.156
3.787 4.060 4.936
Sc Tm Pu
1 1 1
direct
0.613 0.613 0.226
0.282 0.282 0.564
0.955 0.955 0.910



Record 4
Zr3P, relaxed, DFT PBE-GGA; formation energy from the elements = -228 kJ/mol of formula units; space-group type = No. 166; calculated volume = 87 Å³/cell; total DFT energy (no corrections) = -8.353 eV per atom
1.0
-3.888 -1.558 7.430
-1.554 -4.132 7.298
-0.613 -0.989 8.450
Zr P
3 1
direct
0.268 0.268 0.268
0.500 0.500 0.500
0.732 0.732 0.732
0.000 0.000 0.000



Record 5
Fe3PdPt2, relaxed, DFT PBE-GGA; formation energy from the elements = 229 kJ/mol of formula units; space-group type = No. 123; calculated volume = 95 Å³/cell; total DFT energy (no corrections) = -6.715 eV per atom
1.0
2.643 0.000 0.000
0.000 2.643 0.000
0.000 0.000 13.660
Fe Pd Pt
3 1 2
direct
0.000 0.000 0.000
0.000 0.000 0.173
0.000 0.000 0.827
0.500 0.500 0.500
0.500 0.500 0.307
0.500 0.500 0.693



Record 6
Tl7Hg3As2, relaxed, DFT PBE-GGA; formation energy from the elements = 44 kJ/mol of formula units; space-group type = No. 2; calculated volume = 365 Å³/cell; total DFT energy (no corrections) = -2.192 eV per atom
1.0
-1.357 4.042 1.334
-3.351 -2.223 3.207
9.260 1.228 13.137
Tl Hg As
7 3 2
direct
0.278 0.707 0.441
0.722 0.293 0.559
0.917 0.445 0.167
0.000 0.000 0.000
0.083 0.555 0.833
0.590 0.067 0.816
........
**The data records stop here**
They are, in effect, more akin to gardened products.
Plant a seed, wait for it to grow and produce fruit…process them and then make available for human consumption.
Only, the fruit of these jabs is more akin to brussels sprouts by way of nastiness than are to the sweet and delicious fresh berry, you’d find at your farmers market.
I still question the efficacy of Traditional Vaccines - where a portion of dead virus was added to solution, stabbed into muscles and preps the immune system to minimize immune reaction to the live virus you may come into contact with…because they moved past this idea, really fast before coming up with the mRNA versions…where they considered traditional vaccines a failure and then after watching the mRNA jabs an overwhelming success despite their obvious failures after 3 full years.
-- begin --
The following is a DFT calculation (SCAN) of a crystal of RbSiSnH2 relaxed with PBEsol.

a b c (Å): 4.4897 4.4897 5.0803
angles (deg): 90.00 90.00 90.00
Last column: nearest neighbours and their distance in Å.
Positions (direct):
H  0.0000  0.5000  0.0000  2 Si 2.24
H  0.5000  0.0000  0.0000  2 Si 2.24
Si  0.0000  0.0000  0.0000  4 H 2.24
Sn  0.0000  0.0000  0.5000  2 Si 2.54
Rb  0.5000  0.5000  0.5000  4 Sn 3.17, 8 H 3.39

Computed properties:
Density of states at the Fermi level ... 0.64 states/eV per atom
-- stop --
Moving along…
As I understand things…for approval, Process 1 was used to create these mRNA jabs. The process behind this used PCR technology (polymerase chain reaction), for initial testing and approval. However…due to cost and scalable measures and because of the Global Demand…they’d moved onto Process 2, which is where we get into the gardening stage of these.
For mass replication, bits and pieces required for the vaccine were farmed using E. Coli as their medium…and it’s in here where things start to go horribly wrong. In doing this, there were billions of fragments of DNA and RNA that got added to the final products, where they weren’t present in the Phase 1 versions.
This in itself seems like a terrible idea.
But to understand this…it’s not actually that different from traditional vaccines because it’s been understood that this may come to happen…and certain guidelines and restrictions were placed on vaccines for safety thresholds.
The body has a way to rid itself of these and was deemed no big deal.
With that being said…in the 35 vials of COVID Vaccines that David has analyzed, the volumes of these particles was grossly in excess of what these regulatory thresholds actually are.
We’re talking a range by safety recommendations of 10ng/dose to between 3000-5000ng/dose.
Yeah…at minimum, approximately 300x the established safe limit.
Still…these tiny little fragments, under normal and historic circumstances - would be deemed as no big deal as they will die off and your body will process out the trashy bits.
Where this starts to get worse is that in order to make the vaccines more effective, these were encapsulated in LNP (lipid nanoparticles) to keep them protected from the bodies initial immune reaction. Basically…they were added into a Trojan Horse and then injected into unwitting and uninformed recipients.
What this has done is made it so that, instead of getting the jab into a muscle and it remaining local to the site before being processed out…they were protected and able to make it into your cells, protecting them long enough for infiltration.
For those who have suffered from a Vaccine Injury that’s led to chronic conditions…is that the idea of encapsulation has made it so that these dangerous particles, including the spike assembly process, has travelled throughout the body and into tissues, organs and lymph nodes - and from what already seen…this includes the heart, liver, kidneys, eyes and even crossing the BBB (brain blood barrier), into your skull…YIKES!
This was specific to the mRNA jabs - both Pfizer and Moderna…and here’s where things start to get a lot more scary for the Pfizer version.
In testing this…they found that SV40 promoter.
**Misplaced data records:**
-- begin --
C2Se | PBE | optimized geometry

Cell: 3.1887 3.1887 4.0101 Å, 90.00 90.00 120.00°
Closest atoms and distances in Å follow each position.
Element x y z (fractional)
1 C 0.0000 0.0000 0.1641  1 C 1.32
2 C 0.0000 0.0000 0.8359  1 C 1.32
3 Se 0.3333 0.6667 0.5000  6 C 2.28

Computed properties:
* ΔE_f (raw): 1.766 eV/atom
* magnetic moment: 0.000 μB per atom
* energy above the lowest structure with this stoichiometry: 1494 meV/atom
* SG: P-6m2 (187)
* total DFT energy (no corrections): -5.54 eV/atom
* DOS(E_F): 0.489 states/eV/atom
-- stop --
Now…what’s the difference from SV40 and SV40 Promoter?
The promoter portion isn’t the actual Virus…it’s the genetic targeting system used by the Simian Vacuolating Virus - which targets the nucleus of the cells.
Like this:
Only…while it’s not necessarily blowing up your cells…there is the potential that this encapsulation, used to bypass the primary protection of cells, and the targeting of SV40 Promoter…may alter your Genetic Code with bits and pieces of the billions of pieces of trash that were byproducts of their production.
Despite what our history in a world of fantasy looks like, where genetic alterations may give you the strength of a Hulk or the reflexes of a Spider…and while some of these same scientists working on this, believe that they can use these ideas to target specific types of cancers…when you take unknown particles and insert them blindly into your genetic code, have no idea of what organ they may target…we’re setting ourselves up for really bad things to happen.
And the worst part about this is that scientists can only speculate on what some of these worst things actually are.
Cancers - to be sure. Anecdotally, statistically and through actual medical studies, we’re already seeing what this may be causing:
But what else?
Where does this fully extend to?
Does this change or alter our entire DNA or does it turn us into some sort of freakish chimera?
Would these genetic swings, where these infiltrations occur in non-specific locations…cause our bodies to start rejecting our own organs because they no longer recognize them?
What about children who are born to COVID mRNA vaccinated parents?
What are their lives going to look like?
Full of diseases and suffering?
What does this mean for future blood and organ donations?
Now I get it…this is all still theoretical though, from the March of 2022 posting to current, where genetic alteration was only proven in vitro in liver tissue…nobody is really focused on figuring out the long-term impacts of what has been done.
Because if this is proven…what worlds does this open up?
And if it isn’t…what problems will surface that we will take years to understand.
We may have seen the permanent altercation of the human genetic code.
We may have vaccinated ourselves out of existence.
And this is terrifying!
For a more in depth look at the work that Dr. David Speicher is working on, make sure to check out his substack →
…and you can also check out the conversation that’s been initiated in the United States, regarding this same thing:
If anyone of you reading this comment has seen “I Am Legend”, we are setting ourselves up for some form of catastrophic failure. Please continue doing what is necessary to delve into the point! Thank you…
Remember a couple of years ago when this happened.....WELLL....
The Department of Crown-Indigenous Relations yesterday confirmed it spent millions to uncover the “heartbreaking truth” of unmarked Indian Residential School graves in Kamloops, B.C. No remains have been recovered to date and no accounting of what became of the $7.9 million has been disclosed.
...I'm sure it won't take too long to get our public apology.....right?